Friday, September 24, 2021

Life Interlude

I haven't finished the saga of the GRR, but I have been alerted (by M&D) that I have had other "blog-worthy" adventures since returning that really deserve a post. This is that post!

First one was going for a one-night camping trip with Chiara and Corinne down to Bullara Station, just an hour south of Exmouth. We went last Thursday just to get out of town and sleep under the stars, but man was it chilly and windy! Thank goodness there were some campfires scattered about that we could bask in, but mostly it was just a great chance to sit around and shoot the shit. I didn't take any photos, but the station is known for their delicious scones, so I was pumped to have a warm baked scone for breaky before heading back to town for a busy Friday night. Realistically, the scones are just vessels for the cream and jam anyway. Perfect. 

Mulla Mulla wildflowers and a termite mound on the drive back from Bullara

Gaia's birthday was on September 13th, two weeks to the day after mine, and we spent the whole day hanging out with friends and diving. First up was breakfast at the beach shack with a big group, then Rhys, her boyfriend, took Gaia and me out for a day of scuba diving! It was so beautiful. The wind cooperated, we got to swim in a giant bait ball (a school of little bait fish that attract bigger predatory fish like tuna and trevally and the like), and because we weren't out on a commercial boat (like when we get to go for fun dive days at work), we didn't have time limits! So two, hour+ dives in a row. And then after diving we spent the rest of the afternoon drinking beers and fishing, watched the sunset, and tried not to laugh so hard we fell off the boat. It starts to sound repetitive in this blog, I guess, but it was a perfect day. 

Ready for action


Gulf sunsets

This past Sunday I worked on the boats on what was billed as a humpback whale tour day.  The weather conditions were absolutely mint (gentle breeze, warm sun, very low swell) and the animals were cooperating, and I was working with an awesome crew of friends. We started the morning off with a snorkel with some sea turtles and reef sharks, and then when we headed outside the lagoon a pod of pilot whales swam along with the boat! They have these adorable smooshy faces and look like fat dolphins. Or maybe torpedos. So good. 

After the pilot whales, our spotter plane pilot found us some whale sharks! This late in the season that's awesome and by no means a guarantee. We spent most of the morning swimming with three different whale sharks that were SO SLOW. They just had no where to be and were in no rush to get there; it was amazing. Some days the sharks just don't want to play ball. They dive too deep for us to see them, they swim fast, they change direction suddenly and we can't keep up. But not on Sunday, y'all. 

Our last shark as she melted down into the water and slipped out of sight

Probably a boat strike caused the top of this one's tail to look like a chunk has been taken out. Predator strike would take out a different-shaped chunk. 


When we got to swim with whale sharks this late in the season I chalked it up as a win! But then when the skipper said the spotter plane had found a mama humpy and her calf I was stoked! Best news? Baby was more than 50% the size of mama, which means they were fair game to swim with if their behavior indicated we weren't distressing them! So that's how it happened that I got to watch a mama and baby humpy swim directly underneath me in the water. Ningaloo magic. 

Y'all, what a day. Since then I've been out snorkeling with Carly, to dinner with Stewie, and had some of the girls around for a dinner of wine and cheese. Kieran came through town on his drive from Perth back to Broome on a work trip, and I've been hanging out with co-workers a few nights this week who have had lots of fresh caught mahi mahi and tuna that they needed help eating. And in an hour or so, Corinne and I are going to head to the beach for some R&R before a hectic Friday night at work. 

It's funny how I go through these phases of super sociability and then other times I feel like an absolute recluse, but I guess it's just the spring-time air around town. Wildflowers, warm days, cool nights, and the joy of having an apartment to call home that I really love. An apartment which I've just negotiated a 2-year lease on! So holy cow, life is good.

Data records, kept here for reference =
'''
Diffraction record for Ho4FeSn8. The powder diffractogram is calculated, not measured: it uses a PBE-relaxed structure and Cu Kα (λ = 1.5418 Å).

Structure:
```
data_Ho4FeSn8
_cell_length_a 4.420
_cell_length_b 4.476
_cell_length_c 16.436
_cell_angle_alpha 90.00
_cell_angle_beta 90.00
_cell_angle_gamma 90.00
_space_group_name_H-M_alt 'P m m 2'
_space_group_IT_number 25
loop_
_space_group_symop_operation_xyz
'x,y,z'
'-x,-y,z'
'-x,y,z'
'x,-y,z'
loop_
_atom_site_label
_atom_site_fract_x
_atom_site_fract_y
_atom_site_fract_z
Ho1 0.000 0.000 0.000
Ho2 0.000 0.500 0.491
Ho3 0.500 0.000 0.791
Ho4 0.500 0.500 0.298
Fe1 0.000 0.500 0.701
Sn1 0.000 0.000 0.328
Sn2 0.000 0.000 0.632
Sn3 0.000 0.500 0.148
Sn4 0.000 0.500 0.851
Sn5 0.500 0.000 0.151
Sn6 0.500 0.000 0.457
Sn7 0.500 0.500 0.631
Sn8 0.500 0.500 0.973
```

Peak list (10 most intense, 2θ from 10° to 90°, low angle first)
- 2θ = 32.7°, rel. 17.4
- 2θ = 32.8°, rel. 100.0
- 2θ = 40.3°, rel. 18.1
- 2θ = 40.8°, rel. 17.4
- 2θ = 52.8°, rel. 9.2
- 2θ = 53.3°, rel. 9.2
- 2θ = 58.7°, rel. 12.2
- 2θ = 68.5°, rel. 12.9
- 2θ = 68.8°, rel. 8.5
- 2θ = 69.3°, rel. 12.1

* * * * *

# 1
Computed powder XRD pattern of Ca2W2O5 for a wavelength of 1.5418 Å, from a GGA+U-relaxed structure.

Most intense lines, 10 to 90 degrees two-theta, low angle first:
- 2θ = 15.92°, d 5.567, I = 235, hkl 0 2 0
- 2θ = 18.21°, d 4.872, I = 469, hkl 1 1 0
- 2θ = 22.91°, d 3.881, I = 1000, hkl 0 0 1
- 2θ = 28.03°, d 3.183, I = 260, hkl 0 2 1
- 2θ = 29.43°, d 3.035, I = 505, hkl 1 1 1
- 2θ = 32.63°, d 2.745, I = 698, hkl 1 2 1
- 2θ = 36.29°, d 2.476, I = 353, hkl 1 4 0
- 2θ = 41.26°, d 2.188, I = 399, hkl 2 3 0
- 2θ = 46.82°, d 1.940, I = 257, hkl 0 0 2
- 2θ = 47.72°, d 1.906, I = 400, hkl 2 3 1

Atomic structure:
```
data_Ca2W2O5
_chemical_formula_sum 'Ca4 W4 O10'
_symmetry_space_group_name_H-M 'P b a m'
_symmetry_Int_Tables_number 55
_symmetry_space_group_name_Hall '-P 2 2ab'
_cell_length_a 5.4177
_cell_length_b 11.1334
_cell_length_c 3.8803
_cell_angle_alpha 90.00
_cell_angle_beta 90.00
_cell_angle_gamma 90.00
loop_
_atom_site_label
_atom_site_fract_x
_atom_site_fract_y
_atom_site_fract_z
Ca1 0.1490 0.1563 0.0000
W1 0.1454 0.4163 0.5000
O1 0.0000 0.0000 0.5000
O2 0.0888 0.7188 0.5000
O3 0.2175 0.3850 0.0000
```



# 2
Computed powder XRD pattern of Ca2W9O13 for a wavelength of 1.5418 Å, from a GGA+U-relaxed structure.

Most intense lines, 10 to 90 degrees two-theta, low angle first:
- 2θ = 29.18°, d 3.060, I = 1000, hkl 0 1 5
- 2θ = 31.58°, d 2.833, I = 402, hkl 1 0 3
- 2θ = 33.02°, d 2.713, I = 618, hkl 0 2 -1
- 2θ = 34.75°, d 2.582, I = 922, hkl 1 1 -3
- 2θ = 35.24°, d 2.547, I = 359, hkl 1 -1 0
- 2θ = 36.88°, d 2.437, I = 270, hkl -1 1 2
- 2θ = 37.22°, d 2.416, I = 475, hkl 1 0 5
- 2θ = 40.18°, d 2.244, I = 418, hkl 1 2 2
- 2θ = 57.16°, d 1.611, I = 208, hkl 1 -2 6
- 2θ = 58.57°, d 1.576, I = 474, hkl 1 1 10

Atomic structure:
```
data_Ca2W9O13
_chemical_formula_sum 'Ca2 W9 O13'
_symmetry_space_group_name_H-M 'P -1'
'''

A baby gecko I found at work

A huntsman spider that I rescued from my living room wall

Beach day with Carly

Kangaroo Paw that Kieran brought me (state flower of Western Australia!)

Feasting with the girls

A goanna Gaia and I watched hunting in the garden yesterday

Monday, September 20, 2021

"We are not completely normal" pt. 2

Our Monday morning roll out began with a trip to the visitor's center in Derby to get the latest road condition updates, a quick fuel up, and then a stop at the Gibb River Road road conditions sign for a "before" photo. 

With a boab in Derby

Kate, Gaia, and Tessie: Girls Trip!

If Broome is the Gateway to the Kimberley, Derby and the GRR are the heart of it. I mentioned in my last post that the Kimberley is home to lots of unique species of plants and animals, but the boab is probably my favorite of them. The above photo will not be the last giant, ancient tree that you'll have to look at, dear readers. But it was early in my love affair with the things. 

Boabs are only found in this part of Australia, not even extending much beyond the WA border with the Northern Territory. Their close cousins, the baobabs, are only found in some bits of mainland Africa and the island of Madagascar. Their name, boab, is actually a perversion of baobab (Australian linguistic laziness strikes again!). Anyway, these sometimes gorgeous, sometimes hideous, bulbous, ancient trees are scattered across the landscape, sometimes standing alone, or sometimes in copses with many trees of different ages. Don't worry, y'all: I have photos.

While we're on the subject of my tree obsession, another candidate: the kapok tree. They look like a child's drawing of a tree with bright yellow flowers... where the artist forgot to add leaves. They're basically just sticks in the ground with vibrant yellow flowers. Later in the trip we learned the flowers are actually edible and make a nice addition to salads!

Kapok flower, fallen from the tree

Anyway. Traveling. The first bits of the Gibb were, to our surprise, paved! I had assumed the whole track was just corrugated dirt, but most of the first day's drive was paved (NB: Aussies call paved roads bitumen. Americans call them asphalt. I do not, frankly, know if this is because of a difference in materials used. I just remember it took me a long time of living here to know what people were talking about when roads were discussed). Our first stop along the way was to Windjana Gorge campground. The Park Ranger was an absolute gem and he suggested we camp not in the "quiet camp" section, as we planned, but to head into the "generator use" section instead. Camp rules dictate that generators be turned off by 8pm anyway, but the thought of generator noise scares people off so that the quiet camp area ends up being really crowded a lot of the time! It was amazing advice that we followed for the trip's duration and it never failed. Way more elbow room, still quiet: amazing. 

So we got settled into our campsite and headed straight out for a hike into the gorge before sunset. 

Mildly alarming start to a hike

Oceane entering the gorge trailhead

My first freshwater croc

Windjana Gorge from Sunset Beach

Windjana is such a spectacular start to the Gibb. Beautiful, rust-colored cliffs; cool critters (we saw rock wallabies while we were hiking but I'm too slow with the camera... lazy, floating crocs are more my speed); and your campsite is right there. It was magic. It was also the first place we saw notices about cane toads on the journey.

Right at the trailhead we saw a "cane toad disposal" box. They're a poisonous invasive species without any natural predators here, and they spread fast. One biologist we met on the road told me that a female cane toad can lay 30,000 eggs twice per year! So they're a real issue. 

We didn't see any in the afternoon, but when Andrew went to the toilet later in the evening, there was one inside. So he, good citizen that he is, took it upon himself to remove the toad and carry it to the disposal box about 500m away. But he didn't have a bag or gloves or any kind of protective gear (remember, they're poisonous), so he improvised:

They're ugly little buggers

Andrew with toad chopsticks

Bagged us a toad

Obviously, Mia and Gaia and I thought this was phenomenal. We grabbed a rubbish bag to put the thing in (500m is a long walk in the dark with a squirming toad!), and kept Andrew company on his walk to the disposal box. High on our success as citizen scientists, we decided to look around all of the bush loos we passed on the way back to camp to see if we could nab some more toads. Which is how we encountered these cool little critters:

a VERY LARGE spider that was too scary to put my hand near for a size comparison

stick bug

a nervous little echidna

Talk about a little National Geographic walk! Some Aussies we passed on the walk back to camp laughed at us for bringing the toad to the disposal box and mentioned that they'd lend us a shovel for offing the next one we found... which was about 3 minutes later. We weren't prepared for the barbarism of shoveling toads, vegetarians (Mia and Andrew) and animal lovers (all of us) that we are, so we, laughing our heads off, escorted another toad to the box. We stopped looking for toads at that point and headed to bed, content with the day's activity.

Next morning we were up and out to check out another National Park nearby, Tunnel Creek. It's a whole network of caves in the hills, with a beautiful little creek that cuts right through the whole thing. The hike/swim takes you through the main cave, but there were lots of little offshoots with bats squeaking about. 

Gaia at the cave's exit mouth

Jess and Gaia in the cave

Mia with an underground waterfall!

At one point, the only way to proceed is to swim across a little stretch of the creek, and at a few others, you have to walk through water up to waist deep to make it through. All of which would be a non-issue except for the crocodiles!

The crocs at Tunnel Creek are all meant to be freshies, so 80% of their diet is insects. The remaining 20% is small amphibians, reptiles, and fish. At this point in our journey, however, we were not yet privy to this knowledge of their dietary habits. As far as I was concerned, all I could see was teeth! So when Jess and I fell behind the group and had to do a waist-deep walk across the creek with a croc floating directly in the ONLY route, we were a little... apprehensive. We both had head lamps on, so we just kept them sighted on the critter the whole time and hoped that everything we'd heard about freshies not being aggressive was true. When we walked into the water, she submerged and thank GOODNESS our torches were bright enough to keep her in our sights... we were nervous! But she just scooted out of our way and let us proceed. 


Rock art on the wall outside Tunnel Creek

We headed back to the campground in time for another sunset and happy hour in Windjana Gorge.

What a view!
A bower bird nest in Windjana Gorge

While Gaia was making a super yummy stir fry noodle dinner for us, a cheeky, shabby looking kangaroo was investigating our campsite. 

stir fry by campfire


Next morning we had a pretty short drive day but wanted to fit in visits to two different gorges. First up was Lennard Gorge, which was a hike along a pretty little creek that ended with a gorgeous view of a waterfall. Or it was supposed to end with the view. Because Gaia and I are Gaia and I, the hike instead ended only after we'd clambered down the rocky, nature-made steps to the waterfall pool and swum in it. 

With a kapok tree... see how it's just flowers on stick branches?

View from the bottom

Gaia en route on the "off-road" path

It was such a beautiful walk and an even more beautiful waterfall at the end of it and we had it all to ourselves! The water was fresh and cool, the sun was shining, and the company couldn't be beat. Magic.

Bell Gorge, the next stop of the day, took us down a little hike through some denser tree cover along another creek. The view opens out at the end of the trail to a huge rock flat where the creek combines with another. The two combined creeks tumble along to a beautiful waterfall, but if you hike across the creek to the far side of the rock flat, up a big hill, and then climb down into the gorge, you can swim in it! So duh, that's what we did. 

Oceane and Gaia at the bottom of the falls

Bell Gorge falls from the top

We spent the afternoon swimming around in the falls, exploring deeper into the gorge, and then finally decided we should start the trek out before it got properly dark. We still had to set up camp in Silent Grove, so we got moving.

The camp site was situated between boab and eucalyptus trees which promised a raucous morning of cockatoo commotion, but it was pretty cool to feel so very much in Australia with a simple look at my surrounding plant life. Sometimes I kinda forget, you know? And then a flock of cockatoos will fly overhead and I think "damn, I'm living in a place where these are the natives!" and just feel so very lucky. 

Silent Grove campground

Thursday morning we had a long drive to get to our next campground so we did our best to get up and out early. We had to drive to Mornington Station, a privately held former cattle station that is now a massive hub of environmental sustainability research in the Kimberley. The station is now dedicated to raising funds for the Australian Wildlife Conservancy through camping, tours, and research undertaken right on the property. It's also a remarkably pretty stretch of drive to get there!

Jess' car doing one of the creek crossings to get to Mornington



There are still lots of gates to keep the cattle from roaming

We got settled into a campsite and then decided to go for a little roam about the property by heading into Bluebush, a little stretch of shady freshwater where we could spend the afternoon hours lazing in the sun and swimming. We whiled the day away, soaking up the serenity, and then watched the sunset from atop Tessie on the way back to camp. Day 1 in Mornington Wilderness Camp was a success!

Andrew in Bluebush
Oceane and Gaia

Next morning our plan was to go soak up some time in Dimond Gorge. I woke up quite early, quite by accident, so I woke Gaia up and talked her into going for a dawn hike to watch the sun rise over the ranges. She doesn't like to miss out on adventures for silly things like sleep anyway, and let me tell you. It was so. Worth. It.

We got back to camp right around the time that everyone else was rolling out of bed, so we still got to have leisurely breakfast before heading out to Dimond Gorge!

It's possible to hire out canoes from the camp that are set up and ready to go at the waterside once you've driven the 20km or so from camp to the gorge itself. The distance is misleading, though, because it took nearly an hour and a half to traverse those k's. We hired one canoe for three people and broke up into two groups to go out. Lots of fun, terrible canoe skills (at least in my boat with Gaia and Oceane), and a chance to take cat naps in the sun while waiting for the others. The adventure portion of the day's plan didn't begin til we were trying to leave, though. 

There used to be a law on the books in Western Australia that all cars need to have little devices called immobilizers installed. They're little computer chips that prevent the engine from starting if the chip isn't in close enough proximity to the ignition when the key is turned. It's meant to be a security feature. All of that sets the scene nicely, I think, for the fiasco that happened as we tried to leave Dimond Gorge. 

Jess, you see, doesn't have a spare car key. So when her key broke as she turned it in the ignition to leave the gorge about 30 mins before sunset, we thought we could be in some trouble. Not to worry, though: Jess hopped out, grabbed a pair of pliers from her toolkit in the back and used those to turn the key. The engine kept turning over and over but just wouldn't kick on. Which is when we remembered the immobilizer. It must've fallen out of the key when it broke. So all 6 of us were crawling around on hands and knees, in a dusty prickle patch where the car was parked, looking for a tiny electronic chip about half the size of my pinky fingernail. With 30 mins to sunset. 20kms from a wilderness camp situated 90kms from the turnoff onto one of the most rugged dirt roads in Australia, and another 250kms from that turnoff to the nearest town with an auto electrician who could program a new immobilizer. When Mia spotted it after 15 minutes of desperate searching, we tried to stay calm. When Jess, hands shaking, managed to get the key back together enough to turn it in the ignition, we all held our breath. When the car roared to life, tears were shed. What a SNAFU!

By the time we drove back to camp and showered, we couldn't manage to cook anything more than instant noodles for dinner. But man oh man did they ever taste good! A biologist working at the sanctuary did an evening presentation on the kinds of environmental controls they're putting in place to help with invasive species that have decimated native wildlife (like feral cats and cows, cane toads, and others), which was fascinating, but all of us headed to bed straight after. It was a long day.